_Material_
Density functional theory data (ωB97M-V/def2-TZVPD) for a molecular structure, C39H39BN8O2S3W at a distorted geometry.

Output
Kohn-Sham gap (spin up / spin down): 4.783 / 4.686 eV
E_HOMO (spin up / spin down): -7.32 / -7.26 eV
ΔE to the lowest compared entry with this formula, charge and spin: 47.2 kcal per mole

ORCA input file:
```
! RIJCOSX wB97M-V def2-TZVPD def2/J DEFGRID3
* xyz 0 1
W 0.323 0.041 0.428
C 1.604 -3.063 4.278
C 2.377 -2.003 3.470
C 1.996 -0.609 3.936
C 2.300 -2.361 1.990
C 2.953 -3.529 1.580
C 2.666 -3.681 0.250
N 1.894 -2.663 -0.120
N 1.662 -1.825 0.921
B 1.421 -2.376 -1.535
N 1.953 -1.011 -1.964
C 2.880 -0.822 -2.896
C 3.073 0.525 -3.052
C 2.192 1.153 -2.172
N 1.527 0.190 -1.469
C 2.081 2.675 -2.309
C 1.495 2.973 -3.710
C 1.359 3.586 -1.312
N -0.111 -2.334 -1.562
C -0.951 -3.154 -2.188
C -2.240 -2.798 -1.856
C -2.125 -1.714 -0.988
N -0.809 -1.450 -0.810
C -3.292 -0.983 -0.376
C -4.145 -1.934 0.476
C -4.191 -0.397 -1.473
H 1.760 -2.899 5.348
H 1.939 -4.072 4.031
H 0.538 -3.001 4.069
H 3.435 -2.137 3.708
H 1.007 -0.326 3.600
H 2.711 0.134 3.594
H 1.986 -0.589 5.029
H 3.569 -4.162 2.200
H 2.966 -4.432 -0.464
H 1.819 -3.226 -2.281
H 3.348 -1.665 -3.381
H 3.760 1.015 -3.724
H 3.126 2.991 -2.332
H 0.432 2.728 -3.730
H 1.993 2.407 -4.497
H 1.609 4.038 -3.924
H 0.342 3.787 -1.648
H 1.890 4.538 -1.262
H 1.307 3.198 -0.305
H -0.576 -3.935 -2.833
H -3.156 -3.251 -2.204
H -2.913 -0.179 0.245
H -4.578 -2.715 -0.155
H -4.964 -1.377 0.937
H -3.564 -2.410 1.261
H -4.578 -1.196 -2.112
H -3.665 0.315 -2.103
H -5.042 0.112 -1.015
S 4.635 -0.813 0.205
C 4.593 0.835 -0.062
C 5.666 1.376 -0.875
N 6.515 1.766 -1.547
C 3.635 1.740 0.408
S 2.182 1.378 1.279
C 3.863 3.143 0.267
N 4.043 4.277 0.148
O -1.231 2.562 3.110
C -1.125 1.389 2.924
O -0.402 0.920 1.865
C -1.677 0.327 3.765
C -2.248 0.731 4.980
C -2.772 -0.191 5.855
C -2.738 -1.545 5.514
C -2.185 -1.957 4.321
C -1.631 -1.034 3.417
S -0.978 -1.723 1.954
H -2.257 1.790 5.204
H -3.203 0.128 6.796
H -3.145 -2.285 6.194
H -2.164 -3.010 4.060
C -2.301 1.312 -4.822
C -1.394 0.343 -4.352
C -0.930 0.384 -3.066
C -1.343 1.379 -2.135
C -0.902 1.447 -0.757
C -1.297 2.567 -0.047
C -2.150 3.560 -0.557
C -2.624 3.462 -1.827
C -2.214 2.383 -2.647
C -2.683 2.316 -3.984
H -2.674 1.266 -5.839
H -1.045 -0.436 -5.020
H -0.205 -0.351 -2.779
H -0.936 2.742 0.947
H -2.412 4.399 0.078
H -3.306 4.202 -2.234
H -3.352 3.097 -4.329
*
```



Density functional theory data (ωB97M-V/def2-TZVPD) for a molecular structure, C39H39ClNO3P2V at a distorted geometry.

Output
<S²>: 2.0187
Kohn-Sham gap (spin up / spin down): 7.821 / 7.827 eV
E_HOMO (spin up / spin down): -13.82 / -13.84 eV

ORCA input file:
```
! RIJCOSX wB97M-V def2-TZVPD def2/J DEFGRID3
* xyz 2 3
V -0.163 -0.338 -0.025
C 2.598 1.669 0.464
C 3.214 0.267 0.400
P 2.106 -0.941 -0.467
C 2.559 -0.764 -2.221
C 2.283 0.445 -2.867
C 2.604 0.610 -4.205
C 3.200 -0.429 -4.909
C 3.477 -1.630 -4.273
C 3.160 -1.799 -2.932
C 2.735 -2.549 0.067
C 1.846 -3.592 0.319
C 2.330 -4.829 0.719
C 3.693 -5.026 0.874
C 4.582 -3.989 0.619
C 4.110 -2.753 0.213
P 0.825 1.567 0.942
C 0.808 1.336 2.744
C 0.539 2.422 3.577
C 0.503 2.248 4.952
C 0.731 0.995 5.500
C 1.023 -0.083 4.677
C 1.067 0.081 3.302
C 0.067 3.167 0.591
C -1.267 3.342 0.976
C -1.918 4.529 0.695
C -1.256 5.540 0.007
C 0.066 5.369 -0.376
C 0.734 4.188 -0.081
H 2.666 2.153 -0.512
H 3.117 2.291 1.195
H 3.387 -0.125 1.405
H 4.171 0.306 -0.120
H 1.832 1.265 -2.321
H 2.397 1.551 -4.698
H 3.454 -0.298 -5.952
H 3.948 -2.436 -4.819
H 3.389 -2.735 -2.440
H 0.782 -3.432 0.207
H 1.644 -5.644 0.911
H 4.068 -5.989 1.192
H 5.647 -4.142 0.735
H 4.809 -1.955 -0.002
H 0.361 3.402 3.155
H 0.295 3.095 5.592
H 0.690 0.860 6.573
H 1.214 -1.057 5.108
H 1.315 -0.765 2.674
H -1.778 2.539 1.497
H -2.942 4.679 1.014
H -1.768 6.466 -0.221
H 0.589 6.157 -0.901
H 1.774 4.095 -0.364
O -0.509 0.032 -1.621
C -0.969 0.233 -2.783
C -1.637 -0.857 -3.548
C -3.086 -0.361 -3.802
C -3.678 0.503 -2.659
C -3.381 2.015 -2.743
C -1.925 2.379 -2.433

_What to do_
Restate only the last part of the notes above, starting with the line that has "2.283 0.445".

_Response_
C 2.283 0.445 -2.867
C 2.604 0.610 -4.205
C 3.200 -0.429 -4.909
C 3.477 -1.630 -4.273
C 3.160 -1.799 -2.932
C 2.735 -2.549 0.067
C 1.846 -3.592 0.319
C 2.330 -4.829 0.719
C 3.693 -5.026 0.874
C 4.582 -3.989 0.619
C 4.110 -2.753 0.213
P 0.825 1.567 0.942
C 0.808 1.336 2.744
C 0.539 2.422 3.577
C 0.503 2.248 4.952
C 0.731 0.995 5.500
C 1.023 -0.083 4.677
C 1.067 0.081 3.302
C 0.067 3.167 0.591
C -1.267 3.342 0.976
C -1.918 4.529 0.695
C -1.256 5.540 0.007
C 0.066 5.369 -0.376
C 0.734 4.188 -0.081
H 2.666 2.153 -0.512
H 3.117 2.291 1.195
H 3.387 -0.125 1.405
H 4.171 0.306 -0.120
H 1.832 1.265 -2.321
H 2.397 1.551 -4.698
H 3.454 -0.298 -5.952
H 3.948 -2.436 -4.819
H 3.389 -2.735 -2.440
H 0.782 -3.432 0.207
H 1.644 -5.644 0.911
H 4.068 -5.989 1.192
H 5.647 -4.142 0.735
H 4.809 -1.955 -0.002
H 0.361 3.402 3.155
H 0.295 3.095 5.592
H 0.690 0.860 6.573
H 1.214 -1.057 5.108
H 1.315 -0.765 2.674
H -1.778 2.539 1.497
H -2.942 4.679 1.014
H -1.768 6.466 -0.221
H 0.589 6.157 -0.901
H 1.774 4.095 -0.364
O -0.509 0.032 -1.621
C -0.969 0.233 -2.783
C -1.637 -0.857 -3.548
C -3.086 -0.361 -3.802
C -3.678 0.503 -2.659
C -3.381 2.015 -2.743
C -1.925 2.379 -2.433